big apartment complex with white facade in warm sunlight and framed by orange colored autumn trees Taylor Burrell Barnett

Why we need industry collaboration on affordable housing


TBB Principal

Jarrod Ross

02 Aug 2022

The recent release of the City of Stirling’s draft Affordable Housing policy for public advertising has sparked an interesting debate within the development industry.

The City’s policy seeks to ‘mandate’ (albeit through a discretionary policy) the provision of affordable housing for developments which exceed 20 dwellings within the infill growth areas of Stirling City Centre and Herdsman Glendalough. Whilst several local governments are watching on with interest, many in the development industry are questioning whether the policy has been properly considered, and whether affordable housing provision is the role of local government.

Affordability is perhaps the biggest challenge in the Australian housing industry, and Western Australia is by no means immune to this challenge. In identifying measures to improve affordability, however, we as an industry need to keep front of mind that this is a highly complex and multi-faceted issue, and solutions need to be cognisant of the role of each stakeholder and the potential negative implications which may result.

-- begin --
The following is a DFT calculation (PBE) of crystalline Th2CdPd8 at its relaxed geometry.

a b c (Å): 4.839 6.063 8.192
angles (deg): 111.67 107.18 90.00
Fractional coordinates of all 11 atoms:
Pd  0.000  0.251  0.000
Pd  0.000  0.749  0.000
Pd  0.178  0.178  0.356
Pd  0.645  0.406  0.289
Pd  0.355  0.594  0.711
Pd  0.645  0.884  0.290
Pd  0.822  0.822  0.644
Pd  0.355  0.116  0.710
Cd  0.500  0.000  0.000
Th  0.180  0.680  0.360
Th  0.820  0.320  0.640



The following is a DFT calculation (PBE) of crystalline ThCd2Pd8 at its relaxed geometry.

a b c (Å): 4.205 6.443 7.632
angles (deg): 105.12 105.99 90.00
Fractional coordinates of all 11 atoms:
Th  0.500  0.000  0.000
Cd  0.224  0.646  0.447
Cd  0.776  0.354  0.553
Pd  0.043  0.722  0.086
Pd  0.682  0.913  0.364
Pd  0.957  0.278  0.914
Pd  0.409  0.539  0.817
Pd  0.591  0.461  0.183
Pd  0.861  0.813  0.722
Pd  0.318  0.087  0.636
Pd  0.139  0.187  0.278



The following is a DFT calculation (PBE) of crystalline ThCd2Pd at its relaxed geometry.

a b c (Å): 3.435 3.435 7.635
angles (deg): 90.00 90.00 90.00
Fractional coordinates of all 4 atoms:
Th  0.500  0.500  0.500
Pd  0.500  0.500  0.000
Cd  0.000  0.000  0.804
Cd  0.000  0.000  0.196



The following is a DFT calculation (PBE) of crystalline ThCd3Pd3 at its relaxed geometry.

a b c (Å): 7.215 7.215 7.215
angles (deg): 90.00 90.00 90.00
Last column: magnetic moment on the atom in μB.
Fractional coordinates of all 14 atoms:
Pd  0.750  0.500  0.000  0.00
Pd  0.250  0.500  0.000  0.00
Pd  0.500  0.000  0.750  0.00
Pd  0.500  0.000  0.250  0.00
Pd  0.000  0.250  0.500  0.00
Pd  0.000  0.750  0.500  0.00
Th  0.000  0.000  0.000  0.20
Th  0.500  0.500  0.500  0.20
Cd  0.250  0.000  0.500  0.00
Cd  0.000  0.500  0.250  0.00
Cd  0.000  0.500  0.750  0.00
Cd  0.500  0.250  0.000  0.00
Cd  0.750  0.000  0.500  0.00
Cd  0.500  0.750  0.000  0.00



The following is a DFT calculation (PBE) of crystalline Th2Cd3Pd4 at its relaxed geometry.

a b c (Å): 5.818 7.439 9.372
angles (deg): 90.00 108.08 90.00
Fractional coordinates of all 18 atoms:
Cd  0.484  0.250  0.468
Cd  0.500  0.500  0.000
Cd  0.984  0.250  0.468
Cd  0.016  0.750  0.532
Cd  0.516  0.750  0.532
Cd  0.000  0.000  0.000
Pd  0.658  0.537  0.316
Pd  0.842  0.037  0.684
Pd  0.174  0.750  0.849
Pd  0.674  0.750  0.849
Pd  0.826  0.250  0.151
Pd  0.342  0.463  0.684
Pd  0.326  0.250  0.151
Pd  0.158  0.963  0.316
Th  0.894  0.421  0.787
Th  0.106  0.579  0.213
Th  0.606  0.921  0.213
Th  0.394  0.079  0.787



The following is a DFT calculation (PBE) of crystalline ThCdPd at its relaxed geometry.

a b c (Å): 4.811 4.811 4.811
angles (deg): 60.00 60.00 60.00
Fractional coordinates of all 3 atoms:
Cd  0.500  0.500  0.500
Th  0.000  0.000  0.000
Pd  0.250  0.250  0.250



| no. | energy of formation (eV per atom) |
| --- | --- |
| 1 | -0.598 |
| 2 | -0.525 |
| 3 | -0.245 |
| 4 | 0.353 |
| 5 | -0.543 |
| 6 | -0.434 |

=====

Entry 1:
-- stop --
The crystal structures stop here

The City’s attempted intervention is well intentioned, but ultimately needs further work to consider the impact on development feasibility within important infill growth areas, and the potential to negatively impact growth and yield within these areas. Stirling City Centre and Herdsman Glendalough have both identified and planned to accommodate significant urban infill for more than a decade, and the industry has responded by investing in these areas and awaiting the finalisation of planning frameworks to hit the ground. After this decade of investment, the application of ‘mandatory’ requirements which represent a significant impost upon development potential will dramatically undermine this investment, and may ultimately result in reduced dwelling yields which will be counter to achieving the stated objectives.

The local government sector certainly has a role to play in improving housing affordability, most notably through the review of strategic and statutory planning frameworks to facilitate intensification in the right locations, improving the efficiency of the assessment and approval processes to expedite development, and working to counter nimbyism and lead the way in delivering on high quality infill development. Any statutory or policy intervention which seeks to specifically deliver ‘affordable dwellings’ needs to be carefully workshopped with the broader industry, and needs to be incentive based to ensure that it is sufficiently flexible and can respond to market variability.

Too often these types of initiatives are criticised by the industry without the provision of constructive feedback. Interested stakeholders need to take the time and make a submission, as industry collaboration is essential to ensuring solutions to issues like housing affordability are well considered and effective.

For more information on the draft policy please see the City of Stirling website.

TBB has also prepared a submission on the draft policy which can be found here. Please contact Jarrod Ross or Trent Will to  discuss further.